On December 12, 1992, the U.S. sent 28,000 soldiers into
Somalia under the cover of the United Nations Operation in
Somalia (UNOSOM) in what they said was a "humanitarian
mission" to bring food to starving people. The invasion
came when a several-year drought that had taken tens of
thousands of lives was actually abating. At the time, the
evening news showed images of thousands of starving
Somalis. What people didn't see was U.S. troops 'not
delivering food' but instead engaged in daily gun battles
and bombing raids in heavily populated neighborhoods. In
ten months, more than 10,000 Somalis died as the U.S.
engaged in aggressive military action against those who
Resistance among Somali women, men and even children to
the foreign troops became widespread. The Somali people
Crystal structures, as found in the file:
<<<
1.
Starting from a crystal structure in the Materials Project, relaxed with PBE, the X-ray diffraction stick pattern of FeTeS2N2Cl5 was simulated for Cu Kα (weighted mean of Kα1 and Kα2).
Peak positions follow from Bragg's law for the DFT cell and can differ from measured ones.

Peak list (6 most intense, 2θ from 10° to 80°, in order of rising 2θ)
| d/Å | Rel. int. |
| --- | --- |
| 6.057 | 71.8 |
| 5.633 | 100.0 |
| 5.538 | 69.6 |
| 4.469 | 61.8 |
| 4.402 | 82.7 |
| 2.860 | 61.4 |

Cell and atoms:
```
data_FeTeS2N2Cl5
_symmetry_space_group_name_H-M 'P 1'
_symmetry_Int_Tables_number 1
_cell_length_a 7.6416
_cell_length_b 12.5675
_cell_length_c 12.8202
_cell_angle_alpha 90.00
_cell_angle_beta 97.39
_cell_angle_gamma 90.00
loop_
_symmetry_equiv_pos_as_xyz
'x,y,z'
loop_
_atom_site_label
_atom_site_type_symbol
_atom_site_fract_x
_atom_site_fract_y
_atom_site_fract_z
Fe1 Fe 0.2270 0.1432 0.4623
Fe2 Fe 0.2270 0.3568 0.9623
Fe3 Fe 0.7730 0.6432 0.0377
Fe4 Fe 0.7730 0.8568 0.5377
Te1 Te 0.3614 0.5619 0.2399
Te2 Te 0.3614 0.9381 0.7399
Te3 Te 0.6386 0.0619 0.2601
Te4 Te 0.6386 0.4381 0.7601
S1 S 0.1269 0.0149 0.8395
S2 S 0.1269 0.4851 0.3395
S3 S 0.2088 0.6921 0.4108
S4 S 0.2088 0.8079 0.9108
S5 S 0.7912 0.1921 0.0892
S6 S 0.7912 0.3079 0.5892
S7 S 0.8731 0.5149 0.6605
S8 S 0.8731 0.9851 0.1605
N1 N 0.1051 0.5850 0.4170
N2 N 0.1051 0.9150 0.9170
N3 N 0.3367 0.6907 0.3248
N4 N 0.3367 0.8093 0.8248
N5 N 0.6633 0.1907 0.1752
N6 N 0.6633 0.3093 0.6752
N7 N 0.8949 0.0850 0.0830
N8 N 0.8949 0.4150 0.5830
Cl1 Cl 0.0266 0.7033 0.1222
Cl2 Cl 0.0266 0.7967 0.6222
Cl3 Cl 0.2360 0.1669 0.6354
Cl4 Cl 0.2360 0.3331 0.1354
Cl5 Cl 0.2583 0.5265 0.9306
Cl6 Cl 0.2583 0.9735 0.4306
Cl7 Cl 0.3772 0.5019 0.6545
Cl8 Cl 0.3772 0.9981 0.1545
Cl9 Cl 0.4425 0.2318 0.3992
Cl10 Cl 0.4425 0.2682 0.8992
Cl11 Cl 0.5575 0.7318 0.1008
Cl12 Cl 0.5575 0.7682 0.6008
Cl13 Cl 0.6228 0.0019 0.8455
Cl14 Cl 0.6228 0.4981 0.3455
Cl15 Cl 0.7417 0.0265 0.5694
Cl16 Cl 0.7417 0.4735 0.0694
Cl17 Cl 0.7640 0.6669 0.8646
Cl18 Cl 0.7640 0.8331 0.3646
Cl19 Cl 0.9734 0.2033 0.3778
Cl20 Cl 0.9734 0.2967 0.8778
```



2.
Starting from a crystal structure in the Materials Project, relaxed with PBE, the X-ray diffraction stick pattern of Na2FeCl4 was simulated for Cu Kα (weighted mean of Kα1 and Kα2).
Peak positions follow from Bragg's law for the DFT cell and can differ from measured ones.

Peak list (6 most intense, 2θ from 10° to 80°, in order of rising 2θ)
| d/Å | Rel. int. |
| --- | --- |
| 5.968 | 100.0 |
| 3.248 | 61.3 |
| 2.730 | 50.2 |
| 2.518 | 45.9 |
| 2.364 | 61.5 |
| 1.945 | 46.6 |

Cell and atoms:
```
data_Na2FeCl4
_symmetry_space_group_name_H-M 'P 1'
_symmetry_Int_Tables_number 1
_cell_length_a 6.9044
_cell_length_b 11.8865
_cell_length_c 3.8716
_cell_angle_alpha 90.00
_cell_angle_beta 90.00
_cell_angle_gamma 90.00
loop_
_symmetry_equiv_pos_as_xyz
'x,y,z'
loop_
_atom_site_label
_atom_site_type_symbol
_atom_site_fract_x
>>>
have a long and proud history of resistance. They fought
for the freedom of their country from Italian, French and
British colonialism - and they resisted the U.S. attempts
to recolonize their country.
In the beginning of the military intervention in 1992,
Colin Powell, at the time the chairman of the Pentagon's
Join Chiefs of Staff, called the invasion a "paid
political advertisement" for the Pentagon at a time (less
than a year after the end of the so-called Cold War) when
Congress was under growing pressure to cut the war budget.
Powell opposed calls that that money be used instead for
jobs, education, health care, housing and other social
needs, and instead sought to maintain the
$300-billion-plus military budget.
In reporting on the U.S./UN Operation in Somalia (UNOSOM),
the human rights organization Africa Rights stated that
troops "have engaged in abuses of human rights, including
/*
Theoretical PXRD pattern of YGa2 for copper Kα, from the PBE geometry in the Materials Project.

Main lines, in order of rising 2θ (10° ≤ 2θ ≤ 90°):
Position (°2θ)  d (Å)  Rel. int.  h k l
32.72  2.737  100.0  1 0 1
42.89  2.109  48.9  1 1 0
43.80  2.067  15.3  0 0 2
54.97  1.670  22.0  2 0 1
62.97  1.476  30.1  1 1 2
72.14  1.309  18.9  2 1 1

Crystal structure
a = 4.2175 Å, b = 4.2175 Å, c = 4.1340 Å
α = 90.00°, β = 90.00°, γ = 120.00°
Space group P6/mmm (No. 191)
One atom of each set of equivalent atoms:
Y 0.0000 0.0000 0.0000 (multiplicity 1)
Ga 0.3333 0.6667 0.5000 (multiplicity 2)

----------

(1)
Starting from a GGA-PBE-relaxed structure, the PXRD pattern of LiCaH was calculated for a wavelength of 1.5418 Å.
Intensities are scaled so that the largest is 1000.

Structure:
Cell: 3.540 3.540 4.243 Å, 90.00 90.00 90.00°
Space group P4/mmm (No. 123)
One atom of each set of equivalent atoms:
Li  0.000  0.000  0.000 x1
Ca  0.500  0.500  0.500 x1
H  0.000  0.000  0.500 x1

Main lines, sorted by position (2θ = 5–70°):
2θ (°), I/Imax, hkl
20.9, 605, 0 0 1
25.2, 623, 1 0 0
33.0, 1000, 1 0 1
35.9, 442, 1 1 0
41.9, 339, 1 1 1
62.6, 276, 2 1 1

***

(2)
Starting from a GGA-PBE-relaxed structure, the PXRD pattern of K3Pr3TiS8 was calculated for a wavelength of 1.5418 Å.
Intensities are scaled so that the largest is 1000.

Structure:
Cell: 8.1515 8.1515 22.5635 Å, 90.00 90.00 120.00°
Space group R-3m (No. 166, hexagonal axes)
One atom of each set of equivalent atoms:
K  0.0000  0.5000  0.0000 x9
Pr  0.0000  0.5000  0.5000 x9
Ti  0.0000  0.0000  0.5000 x3
S  0.0000  0.0000  0.2372 x6
S  0.0385  0.5192  0.2297 x18

Main lines, sorted by position (2θ = 5–70°):
2θ (°), I/Imax, hkl
11.8, 852, 0 0 3
25.5, 218, 0 2 1
26.5, 231, 2 0 2
29.9, 1000, 0 2 4
41.0, 333, 2 0 8
44.5, 318, 2 2 0

***

(3)
Starting from a GGA-PBE-relaxed structure, the PXRD pattern of PrHoTlZn was calculated for a wavelength of 1.5418 Å.
Intensities are scaled so that the largest is 1000.

Structure:
Cell: 3.718 3.718 7.620 Å, 90.00 90.00 90.00°
Space group P4mm (No. 99)
One atom of each set of equivalent atoms:
Pr  0.000  0.000  0.000 x1
Ho  0.000  0.000  0.544 x1
Tl  0.500  0.500  0.288 x1
Zn  0.500  0.500  0.751 x1

Main lines, sorted by position (2θ = 5–70°):
2θ (°), I/Imax, hkl
26.7, 166, 1 0 1
33.7, 1000, 1 0 2
34.1, 515, 1 1 0
49.0, 186, 2 0 0
60.0, 157, 1 1 4
60.8, 371, 2 1 2

***

(4)
Starting from a GGA-PBE-relaxed structure, the PXRD pattern of LiInNi was calculated for a wavelength of 1.5418 Å.
Intensities are scaled so that the largest is 1000.

Structure:
Cell: 3.090 3.090 22.688 Å, 90.00 90.00 90.00°
Space group I4/mmm (No. 139)
One atom of each set of equivalent atoms:
Li  0.000  0.000  0.067 x4
In  0.000  0.000  0.347 x4
Ni  0.000  0.000  0.222 x4

Main lines, sorted by position (2θ = 5–70°):
2θ (°), I/Imax, hkl
7.8, 1000, 0 0 2
31.3, 116, 1 0 3
40.3, 250, 1 0 7
41.3, 139, 1 1 0
42.1, 73, 1 1 2
46.5, 118, 1 0 9

***

(5)
*/
Back to the text.
killing of civilians, physical abuse, theft. Many UNOSOM
soldiers have also displayed unacceptable levels of racism
toward Somalis." These abuses included opening fire with
machine guns against unarmed protesters, firing missiles
into residential areas and outright murder civilians,
including many youth. The report states "UNOSOM has
become an army of occupation."
Pro-war propaganda
Since September 11, Bush administration officials have
held meetings with Hollywood representatives regarding the
content of the movies and other material they produce. In
an October 17, 2001, meeting, Hollywood heads "committed
themselves to new initiatives in support of the war on
"Black Hawk Down" is just one of those movies, made
hand-in-hand with the Pentagon. Weeks before the release
of "Black Hawk Down," the Motion Picture Association of
America held a private screening for senior White House
advisers, and allowed them to make changes. Defense
Secretary Donald Rumsfeld and Oliver North, among others,
attended the movie's Washington DC premiere.
Hollywood spends hundreds of millions of dollars on
pro-war, racist films like these - $90 million on "Black
_Materials data from another source follow_
-- begin --
# K2DyAgCl6
Theoretical powder diffractogram, Cu Kα, 1.54184 Å. Input: the PBE geometry in the Materials Project.

```
K2DyAgCl6
1.0
0.000 5.361 5.361
5.361 0.000 5.361
5.361 5.361 0.000
K Dy Ag Cl
2 1 1 6
direct
0.250 0.250 0.250
0.750 0.750 0.750
0.000 0.000 0.000
0.500 0.500 0.500
0.245 0.245 0.755
0.245 0.755 0.245
0.245 0.755 0.755
0.755 0.245 0.245
0.755 0.245 0.755
0.755 0.755 0.245
```

The 10 most intense peaks (5° ≤ 2θ ≤ 70°), low angle first:
Position (°2θ)	I (rel.)
16.5	100
23.5	99
33.4	82
37.5	51
41.2	45
48.0	55
51.1	26
54.1	20
59.7	18
65.1	23

# K2EuAgCl6
Theoretical powder diffractogram, Cu Kα, 1.54184 Å. Input: the PBE geometry in the Materials Project.

```
K2EuAgCl6
1.0
0.000 5.385 5.385
5.385 0.000 5.385
5.385 5.385 0.000
K Eu Ag Cl
2 1 1 6
direct
0.250 0.250 0.250
0.750 0.750 0.750
0.000 0.000 0.000
0.500 0.500 0.500
0.253 0.253 0.747
0.253 0.747 0.253
0.253 0.747 0.747
0.747 0.253 0.253
0.747 0.253 0.747
0.747 0.747 0.253
```

The 10 most intense peaks (5° ≤ 2θ ≤ 70°), low angle first:
Position (°2θ)	I (rel.)
16.5	100
23.4	100
33.3	86
37.3	52
41.1	46
47.8	57
50.9	26
53.8	20
59.5	19
64.8	23

# K2GaAgCl6
Theoretical powder diffractogram, Cu Kα, 1.54184 Å. Input: the PBE geometry in the Materials Project.

```
K2GaAgCl6
1.0
0.000 5.113 5.113
5.113 0.000 5.113
5.113 5.113 0.000
K Ga Ag Cl
2 1 1 6
direct
0.250 0.250 0.250
0.750 0.750 0.750
0.000 0.000 0.000
0.500 0.500 0.500
0.235 0.235 0.765
0.235 0.765 0.235
0.235 0.765 0.765
0.765 0.235 0.235
0.765 0.235 0.765
0.765 0.765 0.235
```

The 10 most intense peaks (5° ≤ 2θ ≤ 70°), low angle first:
Position (°2θ)	I (rel.)
17.3	83
24.6	87
35.1	100
39.4	38
43.4	36
50.5	63
53.8	18
57.0	18
63.0	20
68.7	19

Copy entry 1 word for word.
# K2DyAgCl6
Theoretical powder diffractogram, Cu Kα, 1.54184 Å. Input: the PBE geometry in the Materials Project.

```
K2DyAgCl6
1.0
0.000 5.361 5.361
5.361 0.000 5.361
5.361 5.361 0.000
K Dy Ag Cl
2 1 1 6
direct
0.250 0.250 0.250
0.750 0.750 0.750
0.000 0.000 0.000
0.500 0.500 0.500
0.245 0.245 0.755
0.245 0.755 0.245
0.245 0.755 0.755
0.755 0.245 0.245
0.755 0.245 0.755
0.755 0.755 0.245
```

The 10 most intense peaks (5° ≤ 2θ ≤ 70°), low angle first:
Position (°2θ)	I (rel.)
16.5	100
23.5	99
33.4	82
37.5	51
41.2	45
48.0	55
51.1	26
54.1	20
59.7	18
65.1	23

Question: Which formula does entry 1 have?
Answer: K2DyAgCl6
-- stop --
_End of the materials data_
Hawk Down" alone 'while millions of people in New York
and around the country are facing layoffs, evictions, cuts
in health care, attacks on their pensions and more.
A new war in Somalia
"Somalia Possible Target" is now a common sentiment echoed
in newspaper headlines and statements of Bush
administration officials. In some ways, a new war against
Somalia has already begun. In November, the U.S.
government shut down the Somali-owned Al-Barakat money
transfer company, which provided the only way for Somalis
living out of the country to send back much-needed funds,
known as remittances, which are often vital for family
members' survival. Up to eighty percent of Somalis
'which is hundreds of thousands if not millions of people'
rely on funds sent by relatives livng outside of the
country. This exposes the pretext given by the U.S.
government for the 1992 intervention 'said then to be a
mission to help starving people 'because now the U.S. is
imposing measures that will cause Somali people to starve
because they are unable to afford food.
The U.S. also shut down Somalia Internet Company, denying
all Internet access to Somalis, and has severely
restricted international telephone lines. This is really
the beginning of a strangulation of the country.
Since the U.S. government cannot implicate Somalia in the
events of September 11, they are attempting to justify a
new military assault by implying that the Pentagon has
unfinished business, that they have a "black eye" and must
return with a vengeance. This is the goal of "Black Hawk
All those who believe in justice for the people of the
world must take a stand against U.S. threats against
Somalia, Sudan, the Philippines, Iraq, Colombia and
everywhere else. We don't know where the next war will
be. The Pentagon has announced that it's wartime all the
time and they will select the targets. But we do know the
U.S. public is being prepared to justify another bloody
incursion into Somalia.
[The African Union has agreed in principle to provide troops to allow the
newly elected Somali government to be installed in the capital,
peacekeepers for Somalia," BBC, January 1, 2005]
[The State Department said in March that the U.S. government was concerned
about "al-Qaida fugitives responsible for the 1998 bombings of the U.S.
embassies in Nairobi and Dar es Salaam (in Tanzania) and the November 2002
bombing of a tourist hotel and attack on a civilian airliner in Kenya, who
are believed to be operating in and around Somalia."--Mattias Karen, "Somali
President Says U.S. Backs Warlords," Forbes.com, May 3, 2006]
"Backed by the U.S., Ethiopia
Invades Somalia," The Wisdom Fund, May 12, 2006
"Somalia: Lawless War a Grab for Oil,"
The Wisdom Fund, April 27, 2007